Title - Where Do We Go From Here?

Rating - T (at least for now, may eventually move to M).

Spoilers – Not really any that I could really think of. Just set after my own story. So, I guess there would be spoilers for In the Dark No One Can Hear You Scream. If you haven't finished it and don't want to be spoiled, don't read this yet.

Author's Note-This story is a follow up to In the Dark No One Can Hear You Scream. If you haven't read it, you will probably be confused at times in this story. I highly recommend reading it before you begin this one.

This will be different from my other story. It will focus more on the Booth/Brennan relationship and cases will be more of side notes. I hope this doesn't discourage anyone from reading it. It takes place a few days after the ending of the first one. Brennan has been released form the hospital AMA after agreeing to have someone stay with her. Booth and Brennan have arrived back in D.C.

Must add standard disclaimer about not owning the rights to Bones here. However, if you see any characters you don't recognize, it's a good possibility that they're mine and I guess you could say that I own them.


Chapter One

_Attached: materials data_
'''
# Sr2LaZn2

Crystalline Sr2LaZn2 at its relaxed geometry (PBE, Alexandria via LeMat-Bulk).

Values from the calculation:
The value obtained for the density of states at the Fermi level is 6.69 states/eV per cell. Its energy of formation is 0.00 eV per atom. Its final energy is -21.656 eV for the cell shown.

Lattice parameters (Å, degrees): 9.205 9.205 3.628 90.00 90.00 90.00
Space group P4/mbm (No. 127)
Inequivalent atoms, fractional coordinates:
1 Sr 0.135 0.365 0.000 (multiplicity 4)
2 La 0.000 0.000 0.000 (multiplicity 2)
3 Zn 0.164 0.664 0.500 (multiplicity 4)

***

# SrLa2Zn2

Crystalline SrLa2Zn2 at its relaxed geometry (PBE, Alexandria via LeMat-Bulk).

Values from the calculation:
The value obtained for the density of states at the Fermi level is 9.31 states/eV per cell. Its energy of formation is -0.13 eV per atom. Its final energy is -29.444 eV for the cell shown.

Lattice parameters (Å, degrees): 9.101 9.101 3.552 90.00 90.00 90.00
Space group P4/mbm (No. 127)
Inequivalent atoms, fractional coordinates:
1 Sr 0.000 0.000 0.000 (multiplicity 2)
2 La 0.121 0.379 0.000 (multiplicity 4)
3 Zn 0.173 0.673 0.500 (multiplicity 4)

***

# SrLa2Zn

Crystalline SrLa2Zn at its relaxed geometry (PBE, Alexandria via LeMat-Bulk).

Values from the calculation:
The value obtained for the density of states at the Fermi level is 11.79 states/eV per cell. Its energy of formation is -0.08 eV per atom. Its final energy is -26.237 eV for the cell shown.

Lattice parameters (Å, degrees): 3.727 5.754 12.654 90.00 90.00 90.00
Space group Immm (No. 71)
Inequivalent atoms, fractional coordinates:
1 Sr 0.000 0.000 0.000 (multiplicity 2)
2 La 0.000 0.500 0.207 (multiplicity 4)
3 Zn 0.000 0.000 0.500 (multiplicity 2)

***

- The lowest energy of formation belongs to which entry?
  SrLa2Zn2


{
  "formula": "LaZr",
  "functional": "meta-GGA SCAN",
  "state": "PBEsol geometry",
  "dos_at_fermi_per_ev_cell": 4.548,
  "de_polymorph_mev_per_atom": 71.9,
  "e_tot_ry_per_atom": -2.695,
  "total_magnetization_mub_per_fu": 0.000,
  "formation_enthalpy_0k_mev_per_atom": 233,
  "lattice": [[3.383, 0.000, 0.000], [0.000, 5.544, 0.000], [-1.691, -2.772, 5.711]],
  "species": ["La", "La", "Zr", "Zr"],
  "fractional_positions": [[0.378, 0.128, 0.756], [0.622, 0.872, 0.244], [0.860, 0.610, 0.721], [0.140, 0.390, 0.279]]
}


# 1
12
Lattice="6.394 0.000 0.000 0.000 3.889 0.000 0.000 0.000 7.188" Properties=species:S:1:pos:R:3 comment="HfFeAs (PBE, optimized geometry)" final_energy_ev_per_atom=-8.35 space_group=Pnma pbc="T T T"
Hf 0.100 0.972 1.355
Hf 3.097 2.917 4.949
Hf 3.297 0.972 2.239
Hf 6.294 2.917 5.833
Fe 0.953 0.972 4.045
Fe 2.244 2.917 0.451
Fe 4.150 0.972 6.737
Fe 5.441 2.917 3.143
As 1.428 2.917 2.766
As 1.769 0.972 6.360
As 4.625 2.917 0.828
As 4.966 0.972 4.422

---

# 2
4
'''

"Booth I can handle the bags myself. I'm not an invalid you know!"

"Bones there is no way I could ever think that. I would probably get my ass kicked if the thought ever did cross my mind."

"You better believe it!" She flashed him a charm smile of her own as she tried to pry the heavy suitcase out of Special Agent Seeley Booth's hands. He was having none of it though.

"The doctors at the hospital specifically said no heavy lifting. They weren't all that thrilled about releasing you so soon in the first place."

"I'll be fine Booth."

"You grab that small duffle over there and bring it inside. I'll get the others."

"That's your bag Booth."

"I know, I'm staying with you while you recover remember? How much damage did that bump on your head cause?" She smacked him on the arm playfully.

"My head is fine. It was just a little bump and a slight concussion."

"Yeah one that caused you to be unconscious for two days."

She gave in taking his smaller bag and marched off to the front door of her apartment, defeated, at least for the moment. As she dropped his bag inside the door, she looked around and appreciated how good it was to be home. Especially after being in the hospital for a few days.

And that was after working an undercover case in South Carolina that almost got her killed. She and Booth had been assigned to go undercover as a newlywed couple on their honeymoon in order to catch a serial killer nicknamed the Night Stalker named after the way his victims were abducted. All had not gone according to plan. It turned out that the killer was actually a high ranking South Carolina FBI agent whom had been under investigation by Internal Affairs. Neither Brennan nor booth knew anything about that when they had taken the case. She had wound up abducted and then nearly raped and killed before Booth had rescued her. Just in time she thought to herself. Her protector had come through once again. If Booth hadn't been there, she would most likely be dead now. She shuddered at the memory.

Booth stood in the doorway with a few of Brennan's heavier suitcases in tow. He watched as she stood there motionless, her back to him. Then he saw her shudder. As he set the bags down, he saw her body stiffen up in fear.

He immediately went to her and wrapped his arms around her waist. "It's okay" he whispered soothingly into her ear. "Just me."

She hated that she was still jumpy after what had happened. The doctors at the hospital had tried to tell her about post traumatic stress disorder and that there was possibility that she had it. She didn't believe them of course. That was psychology and she definitely did not buy into that. Temperance tried to dismiss the thought as Booth began to nuzzle her neck. He was a nice distraction from the heavier thoughts on her mind. She brought her hand up and ran it through his hair.

She still couldn't believe that her and Booth were a couple now. Temperance guessed that it was all the emotions running high on the case and their close proximity that had finally brought them together. Angela had always said it was bound to happen one day, Brennan just had never really believed her.

"Come on, admit it. Won't it be kinda fun to be roomies still?" She turned around in his arms, facing him. Then leaned in and gave him a slow, sensual kiss.

"I guess there could be some benefits to that" she said after breaking off the kiss. Booth smiled at her and kissed her again. They lingered there for a moment before he broke it off this time.

"Just promise me you won't try and cook." That earned him another smack on the arm from Brennan before he could back away.

"My cooking was not all that bad!"

"Bones, do I need to remind you of the cereal incident? Or what about the time that you almost burned the condo down?"

"That could have happened to anyone! You even said yourself that anyone can cook."

"I was wrong." She took one of the cushions from her couch that she was standing next to and threw it at him. He saw it coming this time and managed to avoid the wrath of Dr. Temperance Brennan.

"I'm going to finish getting the bags. You stay here and for once, listen to what the doctors and myself have to say." He yelled this to her as he began the trip back down to the SUV to get the rest of their belongings.

She gave in defeated again and sat down on her couch. It was definitely going to be interesting living with Booth.

That's all for now! How was the first chapter? It's a little lighter and shorter than some of the next chapters will be as we get more into the story. But, I thought some fluff may be a good way to get things rolling and to catch up and introduce the story to any new readers. Please review and let me know what you thought. Any thoughts or suggestions are welcome.
